The camera club I belong to--CPM aka The Center for Photography in Madison--has moved downtown. After the last meeting in the old headquarters, I noticed that among the packing boxes there was one labeled 'Free.' Which happens to be my favorite price when it comes to photo equipment.
After checking with the club president that 'Free' really meant free, he told me "Take the whole box if you want " A strong hint since he was about to lock up. So the box and I went home.
# 1
Here is C14H20CoN4O2 as an isolated structure from the OMol25 dataset. Energies are from the ωB97M-V functional and the def2-TZVPD basis.

Its total charge is +1. The value obtained for the gap between HOMO and LUMO (alpha / beta) is 8.10 / 8.10 eV. Its energy above the lowest of the compared OMol25 structures with the same formula, charge and spin is 11.1 kcal per mole. The strongest force on any atom comes out at 1.68 eV Å⁻¹. The value obtained for the highest occupied orbital energy (alpha / beta) is -0.4264 / -0.4264 hartree. The calculation puts the electronic energy at -62518.852 eV.

XYZ file:
```
41
Properties=species:S:1:pos:R:3:forces:R:3
Co -0.031058 -0.112259 0.021780 1.6 -0.3 0.0
C 0.504639 -1.656634 1.413981 -0.9 0.2 0.0
C 1.170187 -0.462615 1.751181 -0.2 0.3 0.2
C 0.204449 0.565920 1.957484 -0.2 -0.5 0.1
C -1.090371 -0.049731 1.851756 0.2 0.9 0.3
C -0.913718 -1.389139 1.545532 0.8 -0.8 -0.5
H 0.959302 -2.601842 1.170157 0.0 0.0 0.0
H 2.239616 -0.327406 1.802377 0.0 0.0 -0.1
H 0.414923 1.593806 2.196975 0.0 0.0 0.0
H -2.043688 0.443575 1.950380 0.1 0.1 0.0
H -1.702958 -2.104007 1.394956 0.1 0.0 -0.1
O -2.774495 0.638514 -0.603508 -0.2 0.1 0.0
C -1.983481 1.539811 -0.825353 0.5 0.2 0.1
O -0.698162 1.501020 -0.629681 -0.8 0.2 -0.2
H -2.316498 2.514978 -1.204068 0.0 0.0 -0.1
C -3.117243 -4.179626 -1.898033 0.0 0.0 0.0
C -3.508324 -2.989516 -1.050472 0.0 0.0 0.0
N -2.384966 -2.066247 -0.944652 0.0 0.0 0.0
C -1.395276 -1.962448 -1.858743 0.1 -0.2 0.0
N -0.450420 -1.045706 -1.673623 -0.3 0.1 0.1
C 0.168544 -0.612479 -2.929144 0.1 -0.1 0.0
C 0.755399 -1.818179 -3.639286 0.0 0.0 0.0
C -0.392637 -2.740636 -3.990208 0.0 0.0 0.0
N -1.392541 -2.793178 -2.925710 0.0 0.1 0.0
C -2.531036 -3.669639 -3.196941 0.0 0.0 0.0
H -3.986002 -4.806889 -2.092488 0.0 0.0 0.0
H -2.372729 -4.786168 -1.377647 0.0 0.0 0.0
H -3.798202 -3.307433 -0.047586 0.0 0.0 0.0
H -4.368769 -2.478174 -1.491669 0.0 0.0 0.0
H -2.595913 -1.142981 -0.561875 0.0 0.0 0.0
H 0.928480 0.132393 -2.731689 0.0 0.0 0.0
H -0.575952 -0.121778 -3.567274 0.0 0.0 0.0
H 1.462944 -2.312456 -2.970368 0.0 0.0 0.0
H 1.286250 -1.539291 -4.549970 0.0 0.0 0.0
H -0.044637 -3.756755 -4.186307 0.0 0.0 0.0
H -0.888189 -2.384077 -4.899312 0.0 0.0 0.0
H -2.163860 -4.495198 -3.805993 0.0 0.0 0.0
H -3.286590 -3.136335 -3.784494 0.0 0.0 0.0
N 2.741206 0.969443 -0.969232 0.1 -0.1 0.1
C 1.751798 0.485892 -0.638546 -0.8 0.0 0.1
H 3.603798 1.390966 -1.254957 0.0 0.0 0.0
```
Forces are in eV/Å.



# 2
Here is a 2-piece molecular cluster, C14H20F8N2O7PS overall from the OMol25 dataset. Energies are from the ωB97M-V functional and the def2-TZVPD basis.

Its total charge is -1. The value obtained for the gap between HOMO and LUMO is 4.78 eV. The strongest force on any atom comes out at 1.38 eV Å⁻¹. The value obtained for the highest occupied orbital energy is -0.1126 hartree. The calculation puts the electronic energy at -74018.384 eV.

XYZ file:
```
53
Properties=species:S:1:pos:R:3:forces:R:3
Among the junk, and there was a lot of junk, I found a 2x neutral density filter and an Expodisk for setting a custom white balance. They will end up in my camera bag once the adapter rings I ordered from e-bay arrive. One thing I've learned about free stuff, you have to spend money to make it useful.
I also found a busted Minolta film camera with three lenses--a 28mm, 50mm and 135mm. Normally the lenses would have ended up in the busted junk pile. Minolta lenses won't mount on my Nikon and if they did they wouldn't focus properly since the sensors of the two brands aren't the same distance from the mounting flange. But since I'm now doing macro/ micro photography the 28mm lens might be an excellent find.
In an earlier post I mentioned that to closeup purist, macro photography meant your magnification went from 0.1 X (1:10) to 1X (1:1) and micro photography meant it went from 1X (1:1) to whatever magnification you could get away without using an electron scanning microscope.
{You may see the numbers in brackets on a macro lens's spec sheet. A run of the mill macro zoom should reach 1:4. Better and more expensive lens can reach 1:1. To go beyond that into the larger than life size micro mode you usually need extension tubes or other accessories.}
Until I read up on macro/micro photograph I believed the difference between macro and micro was more or less arbitrary. Even more arbitrary was the rule that the size of your bug image on the film or sensor determined whether it was life size or not. Maybe in the film age when you could hold up a slide and see the image the rule made sense. But in the digital age? My D60 sensor might be just under an inch long but I will be looking at the image on a 21 inch monitor .
But there is a bit more science behind that rule than I first thought.
In normal photography the cute girl you are photographing and the tree behind her are far larger than the image in the camera. But when as you move in closer and closer into the world of closeup and then macro photography the size difference become smaller and smaller. Finally you hit the magic 1:1 magnification where interesting things happen.
For starters your camera and your bug will never be closer. The distance between bug and sensor will be 4 times the focal length of your lens (plus or minus any fudge factor caused by principle planes). And that is where it makes major sense to flip the lens and mount it backwards.
Why? With anything except a totally symmetrical lens--identical glass on either side so the two principle planes overlap smack in the center of the lens assembly (not a very useful design)--there is always a good way and a not so good way to arrange your lens elements. While the focal length and image size might end up the same, the aberrations are different.
Anyone who has every looked at a cut out drawing of a modern camera lens's innards knows there is nothing symmetrical about them. Unless you are dealing with a specialize lens--a microscope objective for instance--lenses are always designed to image big things down on to little sensors. Once you start imaging things the opposite way the aberrations can go bad rapidly
So a reversed 28mm lens looked promising. It's 55mm filter threads screwed directly into the mount on my new bellow. For once I didn't have to spend money to use this free-be. And since the shorter the focal length of the lens the more magnification I get per mm of extension, I pulled out my trusty machinist rule to see what the lens gave me- 1/8 of an inch (3mm) visible in the viewfinder. A magnification of 8X (1:8)--now we are cooking.
But what quality of magnification? I had been using 3D flower samples, Queen Anne's Lace, because there is a field full of them behind the house. But because of the DOF and focusing accuracy problems these didn't work all that well at 4X. (See last post for details) At 8X the problems would be worse.
I needed a 2D target with precision detail. But what? In the past I'd used precision targets for testing microscope resolution limits but those babies went for big bucks. Needed to find myself a flat sample with a full range of detail
Then Charlotte came for a visit. We pulled out her new macro/micro equipment--precision optics by Mattel by way of Goodwill.
This jogged a few memory cells. Stashed away somewhere was a box of prepared microscope slides. Once found Charlotte and the dolls did their brand of science while I selected my sample-a section of a moth's antenna.
(to be continued)
After checking with the club president that 'Free' really meant free, he told me "Take the whole box if you want " A strong hint since he was about to lock up. So the box and I went home.
Among the junk, and there was a lot of junk, I found a 2x neutral density filter and an Expodisk for setting a custom white balance. They will end up in my camera bag once the adapter rings I ordered from e-bay arrive. One thing I've learned about free stuff, you have to spend money to make it useful.
I also found a busted Minolta film camera with three lenses--a 28mm, 50mm and 135mm. Normally the lenses would have ended up in the busted junk pile. Minolta lenses won't mount on my Nikon and if they did they wouldn't focus properly since the sensors of the two brands aren't the same distance from the mounting flange. But since I'm now doing macro/ micro photography the 28mm lens might be an excellent find.
In an earlier post I mentioned that to closeup purist, macro photography meant your magnification went from 0.1 X (1:10) to 1X (1:1) and micro photography meant it went from 1X (1:1) to whatever magnification you could get away without using an electron scanning microscope.
{You may see the numbers in brackets on a macro lens's spec sheet. A run of the mill macro zoom should reach 1:4. Better and more expensive lens can reach 1:1. To go beyond that into the larger than life size micro mode you usually need extension tubes or other accessories.}
Until I read up on macro/micro photograph I believed the difference between macro and micro was more or less arbitrary. Even more arbitrary was the rule that the size of your bug image on the film or sensor determined whether it was life size or not. Maybe in the film age when you could hold up a slide and see the image the rule made sense. But in the digital age? My D60 sensor might be just under an inch long but I will be looking at the image on a 21 inch monitor .
But there is a bit more science behind that rule than I first thought.
In normal photography the cute girl you are photographing and the tree behind her are far larger than the image in the camera. But when as you move in closer and closer into the world of closeup and then macro photography the size difference become smaller and smaller. Finally you hit the magic 1:1 magnification where interesting things happen.
For starters your camera and your bug will never be closer. The distance between bug and sensor will be 4 times the focal length of your lens (plus or minus any fudge factor caused by principle planes). And that is where it makes major sense to flip the lens and mount it backwards.
Why? With anything except a totally symmetrical lens--identical glass on either side so the two principle planes overlap smack in the center of the lens assembly (not a very useful design)--there is always a good way and a not so good way to arrange your lens elements. While the focal length and image size might end up the same, the aberrations are different.
Anyone who has every looked at a cut out drawing of a modern camera lens's innards knows there is nothing symmetrical about them. Unless you are dealing with a specialize lens--a microscope objective for instance--lenses are always designed to image big things down on to little sensors. Once you start imaging things the opposite way the aberrations can go bad rapidly
So a reversed 28mm lens looked promising. It's 55mm filter threads screwed directly into the mount on my new bellow. For once I didn't have to spend money to use this free-be. And since the shorter the focal length of the lens the more magnification I get per mm of extension, I pulled out my trusty machinist rule to see what the lens gave me- 1/8 of an inch (3mm) visible in the viewfinder. A magnification of 8X (1:8)--now we are cooking.
But what quality of magnification? I had been using 3D flower samples, Queen Anne's Lace, because there is a field full of them behind the house. But because of the DOF and focusing accuracy problems these didn't work all that well at 4X. (See last post for details) At 8X the problems would be worse.
I needed a 2D target with precision detail. But what? In the past I'd used precision targets for testing microscope resolution limits but those babies went for big bucks. Needed to find myself a flat sample with a full range of detail
Then Charlotte came for a visit. We pulled out her new macro/micro equipment--precision optics by Mattel by way of Goodwill.

This jogged a few memory cells. Stashed away somewhere was a box of prepared microscope slides. Once found Charlotte and the dolls did their brand of science while I selected my sample-a section of a moth's antenna.
(to be continued)